Re: allergies and eczema (very sad)
Hey bella! I am sorry to hear about your symptoms coming back. If you recall, I mentioned that I used to get really bad eczema. I had it when I was a very young child , like before the age of 10. Then, when I was about 18 I randomly started getting it again. I had no idea what it was at first. It would come in waves. It lasted for about a year. At one time I had I guess what is called impetigo that covered my lips in a freakish crusty yellow weird deal. I had eczema so bad on my back, legs, arms and face. Showering was like torture... life in general was with eczema that bad. The creams helped a lot but I would never resort to them again. It's been about 2 years since then and I haven't even seen a trace of eczema. No creams or anything. I'm being dead serious it just went completely away and I've had no problems with it. All the while I didn't cut a single thing out of my diet. I ate glutenous grains... dairy... meat.. eggs.. and it just went away. Not that I advocate eating like that at all, I don't eat that stuff anymore. I am just trying to say that I don't think there is a definite diet you can go on that will solve all your problems. I've lived in the same house, been exposed to the same junk and I have no idea what helped my eczema. I only tell you this to give you hope! Not to try and tell you that nothing will help you! My impression of you from your posts leads me to believe that if anyone can heal their eczema, then certainly you can.
I have also become a big believer in the role one's attitude, demeanor, or beliefs play in their health. Look at any scientific study and I'm sure you will consistently find that the people who have the best health surely have more social support, happiness, stress free lives. I just read in a textbook that these are also traits that are common in people who live longer, including a lack of neurotic thoughts. IMO.. what could be more neurotic than constantly being on these forums and worrying about food and disease. I feel that forums like these are not beneficial to a lot of people... not that they can't help a lot of people! But for many people I'm sure it is not beneficial or healthy to be too obsessive about health.
Earlier this year I spent a weekend looking up all this junk on the internet about my problems and drugs I took and all this crap... I was freaking myself out and just relentless in my pursuit of finding out more about my issues. I ended up giving myself a near panic attack. And the next morning I woke up with a giant cold sore on my lip. I haven't had a cold sore in a long time... I ended up just laughing because it proves to me what stress can bring out of you.
This is certainly not to say that it is all in your head and there is nothing wrong with you. I despise that attitude. However, I do feel that it is our beliefs and attitudes that hinder us from healing or cleansing whatever is going on with us. And that is a big difference between a lot of healthy people and sick people. The majority of people on a lot of these forums focus on their diseases! That is what makes us sick in the first place IMO. Focus on health! It's not easy. If your leg is broken I'm not trying to tell you it doesn't hurt. But don't focus on it and try as hard as you can to focus on other positive things in your life. Focus on what you want, not what you don't want. Don't want disease? Don't focus on it!
I'm not saying you don't have a positive mindset or you are just causing all your problems. I just believe the key to health isn't any particular diet. I believe that diet and fasting can be very beneficial and give your body the best chance for healing. I just really feel the key is above all, having the most positive mindset possible, being as free from stress and anxiety as possible, having a healthy social life and that support is also incredibly helpful. By no means am I trying to say that is an easy goal. But I believe it is the ultimate goal if a person wants to overcome disease... Look at all the people who were miraculously healed without any change in their diet. Something I also keep in mind, is that they've studied all the centenarians and found few generalizable similarities in their diet. Plenty of them drank alcohol, ate meat and chocolate. But they found lots of personality traits common in them.
So that's just what I think lol. I wish you nothing but the best health and I write this only with the intention of helping you! I am not free of all my problems but I really feel like the answer is in a mainly raw diet and fasting. But I also feel one can never be healed even if they have the perfect diet or fast under the best supervision if they maintain their mental baggage. I'm working on it, reading books, trying to reverse any negative emotions. I just really feel that is what is going to help people as much as any diet or fast, and if we ignore our negative emotions, we might as well be eating the SAD.
Again I'm not saying you don't already know this or you aren't trying to be as positive as possible! I'm sure you are working on it! But obviously fasting wont cure everyone of everything. Plenty of people do long fasts and still have problems. So my conclusion is that one should spend an equal, if not a greater amount of energy working to better their life and emotions. I just say this to give you that perspective on health.
(Someone pasted data records at this point)
┌──
No. 1
This record from OMol25 describes an isolated molecule of BH3S. The level of theory is ωB97M-V/def2-TZVPD.

Atoms and positions in Å:
B: -0.009 -0.574 -0.191
S: -0.626 0.916 0.427
H: 0.824 -0.672 -1.000
H: -0.368 -1.731 0.397
H: 0.180 2.061 0.367

HOMO energy   -10.24 eV
2S+1   1
Net charge   0
ΔE to the lowest compared entry with this formula, charge and spin   55.1 kJ/mol
Structure (SMILES)   BS

=====

No. 2
This record from OMol25 describes a structure of composition C2H2F2O2. The level of theory is ωB97M-V/def2-TZVPD.

Atoms and positions in Å:
C: 0.716 -0.068 0.067
C: -0.569 -0.306 -0.159
O: 1.741 -0.893 -0.024
O: -1.721 1.056 -0.202
F: 1.229 1.215 0.179
F: -1.201 -1.442 -0.013
H: 2.469 -0.324 0.178
H: -2.663 0.763 -0.026

HOMO energy   -9.49 eV
2S+1   1
Net charge   0
ΔE to the lowest compared entry with this formula, charge and spin   339.7 kJ/mol

=====

No. 3
This record from OMol25 describes a cluster of 12 separate species, C56H65N5O26S in total. The level of theory is ωB97M-V/def2-TZVPD.

Atoms and positions in Å:
C: 9.943 28.138 -13.402
C: 9.793 26.606 -13.433
O: 9.896 26.306 -14.806
S: 9.077 27.383 -15.643
O: 7.704 27.136 -15.547
O: 9.739 27.604 -16.870
O: 9.455 28.582 -14.650
H: 11.008 28.376 -13.328
H: 9.440 28.600 -12.555
H: 8.864 26.283 -12.957
H: 10.594 26.100 -12.899
C: 8.002 35.037 -19.031
C: 6.671 34.785 -18.646
C: 5.650 35.589 -19.106
C: 5.963 36.655 -19.932
C: 7.235 36.827 -20.444
C: 8.270 36.043 -19.937
N: 4.877 37.529 -20.393
O: 5.084 38.221 -21.371
O: 3.840 37.523 -19.756
H: 8.697 34.377 -18.532
H: 6.582 33.871 -18.076
H: 4.636 35.431 -18.767
H: 7.503 37.541 -21.207
H: 9.275 36.272 -20.271
C: 15.342 35.375 -20.816
C: 14.937 35.245 -19.491
C: 15.077 36.320 -18.627
C: 15.583 37.517 -19.091
C: 15.935 37.690 -20.415
C: 15.894 36.575 -21.244
N: 15.358 38.711 -18.252
O: 15.192 38.510 -17.058
O: 15.382 39.802 -18.780
H: 15.285 34.524 -21.483
H: 14.511 34.336 -19.085
H: 14.720 36.182 -17.617
H: 16.142 38.660 -20.839
H: 16.198 36.639 -22.281
C: 13.862 30.202 -16.366
C: 12.489 30.064 -16.596
C: 11.677 31.159 -16.812
C: 12.265 32.404 -16.905
C: 13.596 32.570 -16.614
C: 14.393 31.480 -16.324
N: 11.437 33.544 -17.238
O: 10.298 33.509 -16.845
O: 11.940 34.416 -17.929
H: 14.418 29.315 -16.117
H: 12.023 29.086 -16.591
H: 10.612 31.051 -16.991
H: 14.055 33.546 -16.737
H: 15.450 31.678 -16.191
C: 10.335 37.287 -16.877
C: 9.327 38.170 -16.529
C: 9.651 39.199 -15.647
C: 10.943 39.372 -15.202
C: 11.955 38.507 -15.564
C: 11.628 37.439 -16.385
N: 11.234 40.452 -14.259
O: 10.582 41.474 -14.366
O: 12.111 40.265 -13.439
H: 10.209 36.486 -17.596
H: 8.336 38.093 -16.954
H: 8.902 39.946 -15.409
H: 12.985 38.554 -15.237
H: 12.364 36.728 -16.736
C: 16.363 28.150 -17.344
C: 15.256 27.680 -18.020
C: 14.736 28.352 -19.119
C: 15.364 29.519 -19.501
C: 16.517 29.987 -18.893
C: 16.964 29.338 -17.762
N: 14.667 30.393 -20.455
O: 13.856 29.873 -21.196
O: 14.879 31.594 -20.391
H: 16.813 27.731 -16.453
H: 14.734 26.771 -17.743
H: 13.806 28.018 -19.551
└──
(Here the article continues)
I also felt the need to talk about this because all too often I find people advising fasting no matter what... and then talk about diet... and little talk about dealing with negative emotion. Who was it that said "to the man with the hammer, every problem looks like a nail"? Just because some of you were helped by fasting, doesn't mean it is the definitive answer for everyone.
I do not mean to offend anyone. If I could conclude this long, mess of a post lol I would say... Try to work at making your life as happy as possible, in conjunction with your diet and fasting. Don't ignore that! If fasting and diet don't cure you then perhaps focus less on your disease and more on health and positive things in life. I am sure that is the answer...
I went on a bit of a tangent lol but I just wanted to throw that out there...
I wish you all nothing but the best of health!